What to do =
What is needed: restate the listing further below from the line with "-0.4712 0.0510" to the end character by character.
Excerpt =
~~~
A structure of composition C31H30BN12O3S2Y at a distorted geometry. Source: the Open Molecules 2025 dataset; level of theory: wB97M-V/def2-TZVPD.

Geometry (Å):
Y1 -0.1732 -0.5479 -0.1192
N1 -1.9264 3.7882 -0.5357
C1 -1.6654 2.7130 0.2059
N2 -1.2969 1.7247 -0.5879
C2 -1.3380 2.2858 -1.8297
N3 -1.7189 3.5404 -1.8439
C3 -0.9939 1.5181 -3.0286
C4 -1.3551 1.9386 -4.3040
N4 -1.0902 1.2087 -5.3789
C5 -0.4712 0.0510 -5.1750
C6 -0.0928 -0.3640 -3.9068
N5 -0.3447 0.3714 -2.8283
H1 -2.2246 4.7003 -0.2332
H2 -1.7396 2.6822 1.2801
H3 -1.8694 2.8810 -4.4429
H4 -0.2770 -0.5712 -6.0390
H5 0.4054 -1.3158 -3.7628
N6 2.2158 -0.3102 -1.3406
C7 3.1340 -1.2505 -0.7683
C8 4.1464 -0.8235 0.0765
C9 4.9618 -1.7607 0.6944
C10 4.7798 -3.1164 0.4645
C11 3.7708 -3.5355 -0.3925
C12 2.9465 -2.6071 -1.0061
H6 2.5220 0.6468 -1.2021
H7 2.0873 -0.4791 -2.3311
H8 4.2667 0.2323 0.2847
H9 5.7474 -1.4242 1.3593
H10 5.4165 -3.8430 0.9515
H11 3.6095 -4.5907 -0.5697
H12 2.1337 -2.9395 -1.6446
S1 1.4234 1.9062 1.0658
C13 2.0506 1.2921 2.5213
N7 1.2086 1.1803 3.5847
C14 1.5880 0.7076 4.7786
C15 2.8877 0.3441 4.9647
C16 3.7305 0.5018 3.8572
N8 3.3442 0.9655 2.6887
H13 0.2310 1.4568 3.4566
H14 0.8179 0.6502 5.5349
H15 3.2420 -0.0357 5.9095
H16 4.7807 0.2383 3.9351
S2 -1.5680 -3.7250 -3.5680
C17 -1.4295 -2.7548 -2.2977
N9 -1.3294 -2.0077 -1.3885
N10 -4.0185 -0.8305 0.6480
C18 -3.1457 -0.2292 1.4790
O1 -1.9130 -0.4925 1.3476
C19 -3.6234 0.6782 2.4584
C20 -2.6801 1.3076 3.2810
N11 -1.8473 1.8184 3.9013
C21 -5.0029 0.9712 2.5653
N12 -6.1312 1.2110 2.5947
H17 -3.6552 -1.5025 -0.0079
H18 -5.0114 -0.7202 0.7595
C22 2.5543 -7.9464 3.0342
C23 1.8151 -7.2068 4.1587
C24 0.3778 -7.7370 4.2544
C25 2.5285 -7.5123 5.4759
C26 1.7807 -5.7095 3.8486
C27 2.2744 -4.7520 4.7320
C28 2.2395 -3.3831 4.4514
C29 1.6910 -2.9999 3.2521
O2 1.5257 -1.7459 2.7208
B1 0.9059 -1.9063 1.4525
O3 0.7145 -3.2974 1.2568
C30 1.1915 -3.9396 2.3671
C31 1.2225 -5.2859 2.6334
H19 2.6334 -9.0093 3.2723
H20 3.5622 -7.5466 2.9068
H21 2.0331 -7.8570 2.0807
H22 0.3833 -8.8153 4.4300
H23 -0.1798 -7.5466 3.3367
H24 -0.1557 -7.2575 5.0771
H25 2.5325 -8.5908 5.6425
H26 2.0242 -7.0491 6.3257
H27 3.5657 -7.1719 5.4597
H28 2.7044 -5.0628 5.6731
H29 2.6291 -2.6587 5.1536
H30 0.8189 -5.9866 1.9143

Atomic forces in eV per Å
Y -1.328 2.206 -1.362
N -0.008 0.030 0.029
C -0.078 -0.070 -0.011
N 0.184 0.077 -0.032
C -0.049 -0.005 0.001
N -0.017 -0.015 0.021
C -0.014 -0.007 -0.067
C 0.016 0.000 -0.006
N -0.002 -0.001 0.003
C -0.011 0.012 -0.007
C 0.063 -0.028 0.038
N -0.047 0.023 0.072
H -0.015 0.000 0.006
H 0.005 -0.019 0.063
H -0.014 -0.006 0.003
H 0.021 0.002 0.003
H -0.038 -0.017 -0.004
N -0.341 -0.284 0.087
C 0.065 -0.042 -0.014
C -0.034 0.022 0.025
C -0.003 -0.008 -0.002
C -0.001 0.006 -0.001
C 0.011 0.003 0.000
C 0.011 0.014 -0.048
H -0.009 -0.003 0.049
H 0.073 0.060 -0.023
H 0.007 -0.007 -0.002
H -0.004 0.002 0.005
H -0.007 -0.003 0.005
H -0.001 0.000 -0.002
H -0.002 -0.004 0.006
S -0.091 -0.249 -0.053
C 0.091 0.072 -0.004
N -0.281 0.000 0.045
C -0.030 -0.012 0.061
C 0.032 -0.010 -0.047
C -0.009 -0.013 0.038
N -0.054 0.002 -0.035
H -0.002 -0.029 0.025
H -0.025 0.008 -0.020
H 0.001 -0.007 -0.004
H 0.000 0.006 0.011
S 0.034 -0.006 -0.015
C -0.096 0.027 0.005
N 0.034 -0.338 -0.096
N -0.005 -0.005 -0.031
C -0.120 -0.161 -0.082
O 0.559 0.185 -0.221
C -0.054 -0.085 -0.102
C 0.182 0.022 0.047
N 0.243 -0.024 -0.058
C 0.071 0.138 -0.002
N -0.041 -0.084 -0.003
H 0.005 -0.015 -0.003
H -0.001 0.013 0.001
C 0.001 0.006 0.006
C 0.001 -0.002 -0.006
C 0.011 -0.004 0.002
C -0.010 0.002 -0.007
C -0.010 0.001 0.006
C 0.024 -0.004 -0.002
C -0.005 0.021 -0.034
C -0.002 0.004 0.020
O 0.073 -0.013 0.005
B 1.001 -1.331 1.714
O -0.049 -0.058 0.061
C 0.081 0.013 -0.071
C -0.012 -0.003 0.002
H -0.007 -0.004 -0.007
H 0.005 -0.009 0.006
H 0.005 0.009 -0.003
H -0.004 -0.001 0.005
H 0.000 -0.010 -0.002
H -0.004 0.005 -0.006
H 0.004 -0.002 0.000
H 0.002 0.002 0.000
H 0.001 -0.002 0.005
H 0.003 -0.002 -0.001
H 0.011 0.013 0.014
H 0.002 -0.002 0.000
~~~
Response =
C5 -0.4712 0.0510 -5.1750
C6 -0.0928 -0.3640 -3.9068
N5 -0.3447 0.3714 -2.8283
H1 -2.2246 4.7003 -0.2332
H2 -1.7396 2.6822 1.2801
H3 -1.8694 2.8810 -4.4429
H4 -0.2770 -0.5712 -6.0390
H5 0.4054 -1.3158 -3.7628
N6 2.2158 -0.3102 -1.3406
C7 3.1340 -1.2505 -0.7683
C8 4.1464 -0.8235 0.0765
C9 4.9618 -1.7607 0.6944
C10 4.7798 -3.1164 0.4645
C11 3.7708 -3.5355 -0.3925
C12 2.9465 -2.6071 -1.0061
H6 2.5220 0.6468 -1.2021
H7 2.0873 -0.4791 -2.3311
H8 4.2667 0.2323 0.2847
H9 5.7474 -1.4242 1.3593
H10 5.4165 -3.8430 0.9515
H11 3.6095 -4.5907 -0.5697
H12 2.1337 -2.9395 -1.6446
S1 1.4234 1.9062 1.0658
C13 2.0506 1.2921 2.5213
N7 1.2086 1.1803 3.5847
C14 1.5880 0.7076 4.7786
C15 2.8877 0.3441 4.9647
C16 3.7305 0.5018 3.8572
N8 3.3442 0.9655 2.6887
H13 0.2310 1.4568 3.4566
H14 0.8179 0.6502 5.5349
H15 3.2420 -0.0357 5.9095
H16 4.7807 0.2383 3.9351
S2 -1.5680 -3.7250 -3.5680
C17 -1.4295 -2.7548 -2.2977
N9 -1.3294 -2.0077 -1.3885
N10 -4.0185 -0.8305 0.6480
C18 -3.1457 -0.2292 1.4790
O1 -1.9130 -0.4925 1.3476
C19 -3.6234 0.6782 2.4584
C20 -2.6801 1.3076 3.2810
N11 -1.8473 1.8184 3.9013
C21 -5.0029 0.9712 2.5653
N12 -6.1312 1.2110 2.5947
H17 -3.6552 -1.5025 -0.0079
H18 -5.0114 -0.7202 0.7595
C22 2.5543 -7.9464 3.0342
C23 1.8151 -7.2068 4.1587
C24 0.3778 -7.7370 4.2544
C25 2.5285 -7.5123 5.4759
C26 1.7807 -5.7095 3.8486
C27 2.2744 -4.7520 4.7320
C28 2.2395 -3.3831 4.4514
C29 1.6910 -2.9999 3.2521
O2 1.5257 -1.7459 2.7208
B1 0.9059 -1.9063 1.4525
O3 0.7145 -3.2974 1.2568
C30 1.1915 -3.9396 2.3671
C31 1.2225 -5.2859 2.6334
H19 2.6334 -9.0093 3.2723
H20 3.5622 -7.5466 2.9068
H21 2.0331 -7.8570 2.0807
H22 0.3833 -8.8153 4.4300
H23 -0.1798 -7.5466 3.3367
H24 -0.1557 -7.2575 5.0771
H25 2.5325 -8.5908 5.6425
H26 2.0242 -7.0491 6.3257
H27 3.5657 -7.1719 5.4597
H28 2.7044 -5.0628 5.6731
H29 2.6291 -2.6587 5.1536
H30 0.8189 -5.9866 1.9143

Atomic forces in eV per Å
Y -1.328 2.206 -1.362
N -0.008 0.030 0.029
C -0.078 -0.070 -0.011
N 0.184 0.077 -0.032
C -0.049 -0.005 0.001
N -0.017 -0.015 0.021
C -0.014 -0.007 -0.067
C 0.016 0.000 -0.006
N -0.002 -0.001 0.003
C -0.011 0.012 -0.007
C 0.063 -0.028 0.038
N -0.047 0.023 0.072
H -0.015 0.000 0.006
H 0.005 -0.019 0.063
H -0.014 -0.006 0.003
H 0.021 0.002 0.003
H -0.038 -0.017 -0.004
N -0.341 -0.284 0.087
C 0.065 -0.042 -0.014
C -0.034 0.022 0.025
C -0.003 -0.008 -0.002
C -0.001 0.006 -0.001
C 0.011 0.003 0.000
C 0.011 0.014 -0.048
H -0.009 -0.003 0.049
H 0.073 0.060 -0.023
H 0.007 -0.007 -0.002
H -0.004 0.002 0.005
H -0.007 -0.003 0.005
H -0.001 0.000 -0.002
H -0.002 -0.004 0.006
S -0.091 -0.249 -0.053
C 0.091 0.072 -0.004
N -0.281 0.000 0.045
C -0.030 -0.012 0.061
C 0.032 -0.010 -0.047
C -0.009 -0.013 0.038
N -0.054 0.002 -0.035
H -0.002 -0.029 0.025
H -0.025 0.008 -0.020
H 0.001 -0.007 -0.004
H 0.000 0.006 0.011
S 0.034 -0.006 -0.015
C -0.096 0.027 0.005
N 0.034 -0.338 -0.096
N -0.005 -0.005 -0.031
C -0.120 -0.161 -0.082
O 0.559 0.185 -0.221
C -0.054 -0.085 -0.102
C 0.182 0.022 0.047
N 0.243 -0.024 -0.058
C 0.071 0.138 -0.002
N -0.041 -0.084 -0.003
H 0.005 -0.015 -0.003
H -0.001 0.013 0.001
C 0.001 0.006 0.006
C 0.001 -0.002 -0.006
C 0.011 -0.004 0.002
C -0.010 0.002 -0.007
C -0.010 0.001 0.006
C 0.024 -0.004 -0.002
C -0.005 0.021 -0.034
C -0.002 0.004 0.020
O 0.073 -0.013 0.005
B 1.001 -1.331 1.714
O -0.049 -0.058 0.061
C 0.081 0.013 -0.071
C -0.012 -0.003 0.002
H -0.007 -0.004 -0.007
H 0.005 -0.009 0.006
H 0.005 0.009 -0.003
H -0.004 -0.001 0.005
H 0.000 -0.010 -0.002
H -0.004 0.005 -0.006
H 0.004 -0.002 0.000
H 0.002 0.002 0.000
H 0.001 -0.002 0.005
H 0.003 -0.002 -0.001
H 0.011 0.013 0.014
H 0.002 -0.002 0.000